Experts explain why Odesa region has become a favorite destination for international delegations

Experts explain why Odesa region has become a favorite destination for international delegations

_Inserted here: calculated crystals_
<<<
5
Lattice="5.038 0.000 0.000 0.000 5.038 0.000 0.000 0.000 4.709" Properties=species:S:1:pos:R:3 comment="NaCa2TlH (GGA-PBE, relaxed)" energy_ev_per_atom=-2.503 magnetic_moment_mub_per_fu=0.00 relative_energy_ev_per_fu=0.00 pbc="T T T"
Na 0.000 0.000 0.000
Ca 0.000 2.519 2.354
Ca 2.519 0.000 2.354
Tl 2.519 2.519 0.000
H 0.000 0.000 2.354

***

5
Lattice="4.792 0.000 0.000 0.000 4.792 0.000 0.000 0.000 4.276" Properties=species:S:1:pos:R:3 comment="ScBIr2Se (GGA-PBE, relaxed)" energy_ev_per_atom=-5.177 magnetic_moment_mub_per_fu=0.00 pbc="T T T"
Sc 0.000 0.000 0.000
B 0.000 0.000 2.138
Ir 0.000 2.396 0.000
Ir 2.396 0.000 0.000
Se 2.396 2.396 2.138

***

14
Lattice="4.391 -6.469 0.000 4.391 6.469 0.000 -4.343 0.000 6.451" Properties=species:S:1:pos:R:3 comment="La4PdRu2 (GGA-PBE, relaxed)" energy_ev_per_atom=-6.608 formation_energy_ev_per_atom=-0.40 magnetic_moment_mub_per_fu=0.00 pbc="T T T"
La 2.220 6.434 3.225
La -1.302 2.450 5.613
La 2.274 3.198 4.895
La 0.870 -2.450 2.387
La 3.064 0.770 2.395
La 0.893 -0.770 5.620
La 4.446 -3.198 1.669
La 4.391 -6.434 0.000
Pd 5.928 1.591 0.848
Pd 3.756 -1.591 4.074
Ru 2.636 4.249 1.379
Ru 0.487 0.954 3.297
Ru 2.658 -0.954 0.072
Ru 0.464 -4.249 4.605

***

12
Lattice="3.468 -5.954 0.000 3.468 5.954 0.000 -2.271 0.000 6.672" Properties=species:S:1:pos:R:3 comment="TbPm2Th3S6 (GGA-PBE, relaxed)" energy_ev_per_atom=-7.014 magnetic_moment_mub_per_fu=0.00 pbc="T T T"
Tb 0.000 0.000 0.000
Pm 3.468 1.980 0.000
Pm 3.468 -1.980 0.000
Th 2.333 3.933 3.336
Th 2.333 0.000 3.336
Th 2.333 -3.933 3.336
S 1.144 1.950 1.612
S -0.011 0.000 5.030
S 1.144 -1.950 1.612
S 3.521 1.950 5.059
S 4.677 0.000 1.641
S 3.521 -1.950 5.059

----------

Record 1
# HoSi2TcNi PBE-GGA optimized geometry
# E_tot   -7.029 eV/atom
# ρ   7.831 g cm⁻³
# Size of the total moment   0.00 μB/cell
data_HoSi2TcNi
_chemical_formula_sum 'Ho2 Si4 Tc2 Ni2'
_cell_length_a 4.0265
_cell_length_b 4.0265
_cell_length_c 9.8822
_cell_angle_alpha 90.00
_cell_angle_beta 90.00
_cell_angle_gamma 90.00
_symmetry_space_group_name_H-M 'I -4 m 2'
_symmetry_Int_Tables_number 119
_symmetry_space_group_name_Hall 'I -4 -2'
loop_
_atom_site_label
_atom_site_fract_x
_atom_site_fract_y
_atom_site_fract_z
Ho1 0.0000 0.0000 0.0000
Si1 0.0000 0.0000 0.3756
Tc1 0.0000 0.5000 0.2500
Ni1 0.0000 0.5000 0.7500



Record 2
# ScFeHgGe PBE-GGA optimized geometry
# E_tot   -4.959 eV/atom
# ρ   8.844 g cm⁻³
# Energy above the most stable polymorph in this dataset   0 meV/atom
# Size of the total moment   9.37 μB/cell
data_ScFeHgGe
_chemical_formula_sum 'Sc4 Fe4 Hg4 Ge4'
_cell_length_a 6.5493
_cell_length_b 6.5493
_cell_length_c 6.5493
_cell_angle_alpha 90.00
_cell_angle_beta 90.00
_cell_angle_gamma 90.00
_symmetry_space_group_name_H-M 'F -4 3 m'
_symmetry_Int_Tables_number 216
_symmetry_space_group_name_Hall 'F -4 2 3'
loop_
_atom_site_label
_atom_site_fract_x
>>>
_The piece goes on_

Kyiv  •  UNN

February 22 2024, 08:55 AM  •  25431 views

The Odesa region has become a favorite destination for international delegations due to its well-developed infrastructure for receiving foreign guests, economic and historical significance, and representation of the interests of various countries in the Black Sea region.

International delegations from all over the world visit Odesa region almost every week. Over the past year, there have been more than 100 visits, including American diplomat Kurt Volker, UN High Commissioner for Refugees Filippo Grandi, and British Foreign Secretary David Cameron. UNN asked experts what attracts foreign partners to Odesa region.


Odesa is one of the key cities visited by international delegations, stated political scientist Volodymyr Fesenko.

"Traditionally, Kyiv, Kharkiv, Dnipro, Lviv and Odesa are the most visited cities. I think that this is partly due to the fact that some trips are made at the request of the president. It is partly due to the fact that the region is not far from the war zone, and at the same time it is the rear. Odesa is a city that makes it possible to assess the situation in the south of Ukraine, where there is infrastructure to accommodate foreign delegations, and it is easier to get to than, for example, Dnipro," he said.

The expert also called Odesa region a traditionally promising region where the interests of different countries are represented.

"This is the Black Sea region. Traditionally, Odesa was the capital of the Ukrainian Black Sea region. And there are also various ethnic groups from Eastern Europe. And Odesa is one of the Ukrainian cities that is best known in Europe and the world. That is, there are economic, infrastructural, historical and political factors," he said.

Political scientist Yaroslav Bozhko shares his colleague's opinion. Odesa region is interesting for its foreign economic and investment policy, the expert says.

"Very often, visits at the regional level are related to trade policy. These can be visits by representatives of countries that are actively engaged in maritime policy or that border Odesa region. As a rule, the visit of a regional diplomat is to some extent related to the specifics of the city he or she visits. Diplomats also visit a particular region because of old acquaintances. Perhaps with someone in the government. Therefore, if a diplomat understands that the region itself is interesting, and if he understands that a decent event is planned, he will go there," he comments.

Yesterday in Odesa region, American diplomat Kurt Volker met with the head of the Odesa Regional State Administration Oleh Kiper. They talked about assistance in providing air defense systems, demining the Black Sea, and free navigation.